**Request**
Your job: copy everything further below without additions.
**Listing**
=====
1.
Material: LiH6PtPb
Method: DFT, PBE
State: optimized geometry

Crystal system: monoclinic
Calculated total energy (eV/cell): -32.52
Space-group type: C2 (5)

```
LiH6PtPb
1.0
2.4339 -4.2197 0.0000
2.4339 4.2197 0.0000
-0.0029 0.0000 4.8875
Li H Pt Pb
1 6 1 1
Direct
0.0000 0.0000 0.0000
0.3862 0.0677 0.7891
0.3867 0.3188 0.2106
0.6812 0.6133 0.7894
0.6816 0.0676 0.2107
0.9324 0.3184 0.7893
0.9323 0.6138 0.2109
0.6668 0.3332 0.0000
0.3328 0.6672 0.5000
```

=====

2.
Material: Li2HPtPb
Method: DFT, PBE
State: optimized geometry

Crystal system: tetragonal
Excess energy over the best structure of this formula in the dataset (meV per atom): 0
Calculated total energy (eV/cell): -18.94
Space-group type: P4/mmm (123)

```
Li2HPtPb
1.0
4.4044 0.0000 0.0000
0.0000 4.4044 0.0000
0.0000 0.0000 3.6146
Li H Pt Pb
2 1 1 1
Direct
0.0000 0.5000 0.0000
0.5000 0.0000 0.0000
0.0000 0.0000 0.0000
0.0000 0.0000 0.5000
0.5000 0.5000 0.5000
```

----------

Crystalline Tm2Ga6Ni3 at its relaxed geometry. Source: Alexandria via LeMat-Bulk, functional GGA-PBE.

a = 4.017 Å, b = 7.366 Å, c = 7.366 Å
α = 120.00°, β = 90.00°, γ = 90.00°
Atoms (fractional coordinates):
Ni 0.500 0.630 0.000
Tm 0.000 0.667 0.333
Tm 0.000 0.333 0.667
Ga 0.500 0.308 0.000
Ni 0.500 0.370 0.370
Ga 0.000 0.204 0.204
Ga 0.000 0.796 0.000
Ni 0.500 0.000 0.630
Ga 0.500 0.000 0.308
Ga 0.000 0.000 0.796
Ga 0.500 0.692 0.692

Calculated formation energy ... -5.514 eV per formula unit
Space-group type ... P-62m, No. 189
=====
**Completed**
1.
Material: LiH6PtPb
Method: DFT, PBE
State: optimized geometry

Crystal system: monoclinic
Calculated total energy (eV/cell): -32.52
Space-group type: C2 (5)

```
LiH6PtPb
1.0
2.4339 -4.2197 0.0000
2.4339 4.2197 0.0000
-0.0029 0.0000 4.8875
Li H Pt Pb
1 6 1 1
Direct
0.0000 0.0000 0.0000
0.3862 0.0677 0.7891
0.3867 0.3188 0.2106
0.6812 0.6133 0.7894
0.6816 0.0676 0.2107
0.9324 0.3184 0.7893
0.9323 0.6138 0.2109
0.6668 0.3332 0.0000
0.3328 0.6672 0.5000
```

=====

2.
Material: Li2HPtPb
Method: DFT, PBE
State: optimized geometry

Crystal system: tetragonal
Excess energy over the best structure of this formula in the dataset (meV per atom): 0
Calculated total energy (eV/cell): -18.94
Space-group type: P4/mmm (123)

```
Li2HPtPb
1.0
4.4044 0.0000 0.0000
0.0000 4.4044 0.0000
0.0000 0.0000 3.6146
Li H Pt Pb
2 1 1 1
Direct
0.0000 0.5000 0.0000
0.5000 0.0000 0.0000
0.0000 0.0000 0.0000
0.0000 0.0000 0.5000
0.5000 0.5000 0.5000
```

----------

Crystalline Tm2Ga6Ni3 at its relaxed geometry. Source: Alexandria via LeMat-Bulk, functional GGA-PBE.

a = 4.017 Å, b = 7.366 Å, c = 7.366 Å
α = 120.00°, β = 90.00°, γ = 90.00°
Atoms (fractional coordinates):
Ni 0.500 0.630 0.000
Tm 0.000 0.667 0.333
Tm 0.000 0.333 0.667
Ga 0.500 0.308 0.000
Ni 0.500 0.370 0.370
Ga 0.000 0.204 0.204
Ga 0.000 0.796 0.000
Ni 0.500 0.000 0.630
Ga 0.500 0.000 0.308
Ga 0.000 0.000 0.796
Ga 0.500 0.692 0.692

Calculated formation energy ... -5.514 eV per formula unit
Space-group type ... P-62m, No. 189